ALERT: Repeal of HB2 Would Betray North Carolina!

ALERT: Repeal of HB2 Would Betray North Carolina!

The safety and privacy of women and children are at risk once again in North Carolina, because the N.C. General Assembly is poised to return to Raleigh for a Special Session as early as tomorrow to repeal House Bill 2, North Carolina’s statewide bathroom privacy and safety law. It is imperative that you contact your state legislators TODAY to urge them to OPPOSE the repeal of House Bill 2!

In a meeting this morning, the Charlotte City Council agreed to repeal the set of radical ordinance changes it approved in February as long as the state legislature fully repeals House Bill 2 by the end of this year. These were the ordinance changes that prompted the General Assembly to call itself into Special Session in March to reverse Charlotte’s misguided and unlawful actions.

A major problem with this “repeal-for-repeal arrangement” is that there is nothing to keep another city or county—or the City of Charlotte for that matter—from enacting similar ordinances if the General Assembly repeals House Bill 2. In fact, the document Charlotte approved this morning states, “Whereas, in the event that the North Carolina General Assembly grants or restores the authority of the City to enact ordinances on the matters that were subject of the preempted and invalidated ordinances, the City Council could enact new ordinances.” They essentially admit that they plan to do just that—this is a Trojan Horse deal of the worst kind!  

“The repeal of House Bill 2 would represent a significant betrayal of the citizens of North Carolina who deeply care about the privacy and safety of women and children in our state,” said NC Family President John L. Rustin. “House Bill 2 was designed to protect the safety and dignity of our state’s citizens, and it is unconscionable that Governor McCrory and our legislative leaders would push for its repeal, especially during the week of Christmas. Moreover, such a move would invite contentious battles in communities all across North Carolina, as proponents of open bathrooms and misguided political correctness seek to bully and pressure local elected officials to pass Charlotte-style social policies.”

Governor Pat McCrory issued a statement earlier today suggesting that he will call the General Assembly back for a Special Session. The Human Rights Campaign and Equality NC, the groups who were behind the effort in Charlotte, have been pushing for a Special Session to repeal House Bill 2.

-- begin --
(1)
ORCA calculation (ωB97M-V/def2-TZVPD) on a 2-piece molecular cluster, C11H22N3O4 overall in a non-equilibrium geometry.

Element x y z (Å)
C 1.449 3.274 -0.419
C 1.141 2.004 -1.378
N -0.119 1.258 -1.008
C -1.212 2.215 -0.639
C -2.696 1.621 -0.764
C -3.745 2.840 -0.496
N -3.678 3.856 -1.618
C -3.519 3.536 0.939
O -2.930 4.682 1.048
O -3.895 2.931 2.142
C 0.162 0.298 0.090
C -0.434 -1.210 0.095
O 0.866 0.591 1.112
H 2.592 3.390 -0.280
H 0.964 4.229 -0.829
H 1.042 3.132 0.653
H 2.022 1.270 -1.312
H 1.032 2.440 -2.445
H -1.172 3.165 -1.295
H -1.061 2.468 0.480
H -2.814 0.841 0.070
H -2.915 1.148 -1.798
H -4.836 2.468 -0.491
H -3.431 3.341 -2.486
H -2.878 4.494 -1.468
H 0.317 -1.900 -0.447
H -0.450 -1.553 1.197
H -1.482 -1.249 -0.352
C 2.391 -3.111 1.004
C 1.584 -4.372 0.853
O 0.369 -4.354 0.702
N 2.244 -5.564 0.889
C 3.661 -5.799 1.056
H 1.728 -2.249 0.956
H 2.897 -3.102 1.972
H 3.120 -3.032 0.194
H 1.635 -6.362 0.781
H 4.024 -6.346 0.183
H 3.804 -6.416 1.946
H 4.224 -4.874 1.163

Atomic forces in eV per Å
0.26 -0.10 0.69
0.39 0.93 0.65
1.04 -0.58 0.42
-1.31 0.13 0.83
-0.02 0.39 0.79
-0.40 -0.21 0.13
0.89 -0.78 0.12
0.52 0.98 5.88
-1.26 -2.78 -2.11
0.89 1.02 -5.99
1.00 -0.01 3.17
0.38 0.89 0.17
-2.08 -0.79 -4.08
-1.81 0.04 -0.50
0.93 -1.36 0.56
0.61 0.04 -1.88
-1.36 1.10 -0.32
0.12 -1.09 1.58
0.32 -1.63 1.10
-0.47 0.18 -1.88
-0.06 1.01 -1.30
0.49 0.73 1.59
1.82 0.19 0.07
-0.35 0.37 0.71
-0.72 -0.35 0.38
-1.52 1.16 0.54
-0.07 0.65 -1.86
1.57 -0.05 0.42
0.01 0.12 0.02
-0.69 -0.10 -0.08
0.40 -0.02 0.04
-0.06 0.31 0.00
-0.33 -0.42 -0.06
0.12 -0.19 0.10
0.13 0.04 -0.13
0.11 0.02 0.15
0.08 0.10 0.02
0.28 0.06 0.10
0.30 0.06 -0.02
-0.16 -0.06 -0.02

Calculated values
- HOMO energy (eV) = -3.77
- energy relative to the best compared isomer or geometry (same formula, charge and spin) (eV) = 2.960
- total charge = -1
- calculated total energy (eV) = -24423.1721
- gap between HOMO and LUMO (eV) = 5.916
- LUMO energy (eV) = 2.14

---

(2)
ORCA calculation (ωB97M-V/def2-TZVPD) on a 5-piece molecular cluster, C11H22O overall in a non-equilibrium geometry.

Element x y z (Å)
C -3.187 -1.596 -0.527
C -2.994 -0.004 -0.192
C -1.421 0.500 0.225
C -1.646 2.134 0.406
C -1.201 -0.103 1.575
C -0.418 0.167 -0.744
C 0.760 1.117 -1.137
C 2.131 1.040 -0.327
C 2.521 -0.288 -0.304
C 1.623 -1.317 0.359
C 0.329 -1.147 -0.351
H -4.218 -1.886 -0.990
H -3.177 -1.807 0.735
H -1.920 -2.154 -1.026
H -3.410 0.485 0.568
H -3.338 0.615 -1.070
H -2.291 2.278 1.115
H -1.678 2.714 -0.439
H -0.699 2.324 0.892
H -0.673 -1.075 1.255
H -0.734 1.031 2.476
H -2.607 -0.742 1.974
H -0.969 -0.057 -1.616
H 0.761 2.094 -1.261
H 1.101 0.544 -2.088
H 2.878 1.833 -0.954
H 2.076 1.460 0.747
H 2.984 -0.937 -1.267
H 3.659 1.003 1.187
H 2.212 -2.362 0.227
H 1.446 -1.319 1.455
H -0.420 -1.840 0.373
H 0.755 -1.678 -1.307
O 3.661 -0.443 0.639

Atomic forces in eV per Å
2.44 0.65 3.79
3.64 -1.13 -5.90
-5.47 3.06 1.57
5.40 -4.78 -1.50
-2.39 0.46 2.47
3.82 -0.66 -0.04
2.15 -5.46 -0.43
-1.46 5.44 -1.84
-- stop --


TAKE ACTION: Go to NC Family’s Action Center NOW, and urge your state House and Senate members to STAND FIRM on House Bill 2!  The Privacy and Safety of women and children in North Carolina depend on it! 

Thank You!